Page 9 of Aces High

  He relaxed suddenly. In a low voice he said, “What’re you doing out here?”

  “Came to find you, of course. I knew you’d be out here tonight, since you’d settled on the Ferris wheel.” Dane materialized out of the darkness and approached his brother. It was rather startling that he had been practically invisible until choosing to show himself, because he was wearing light-colored slacks and a white shirt that should have made him hard to miss. But Skye wasn’t surprised by the seeming wizardry.

  He had himself adopted dark colors largely because he lacked his brother’s peculiar ability to seem to vanish into the darkness or the woodwork when he chose. Dane had explained the puzzle by talking about the difference between them. “You’re like neon, and if there’s an off switch, you haven’t found it.”

  After Skye had contrasted his brother’s utterly tranquil surface with his own impatience and restlessness, he admitted to himself that Dane was probably right. Years of discipline had given Dane the ability to cloak his own nature, but Skye had never gotten the knack of that and doubted he ever would.

  Now, as his brother knelt beside him, Skye reached into the briefcase and withdrew a neat square of malleable material. “Why were you looking for me?” he asked.

  “Are you sure that stuff’s inert?” Dane countered, watching with a wary gaze as Skye’s long fingers began shaping the material.

  Skye sent him a brief smile. “Modeling clay, but it looks like the real thing. If Hagen doesn’t take it into his head to get an analysis, it’ll pass muster. You didn’t answer me.”

  “Ummm. You were a bit on edge this morning.”

  Skye swore softly. “I thought so.”

  “They have a vested interest in this caper,” Dane pointed out dryly. “More than either of us, as a matter of fact. Our acquaintance with Hagen is fairly recent, but he’s been meddling in their lives for a couple of years now. Raven just asked if I’d find out what was bothering you.”

  Skye set the clay aside and reached into his pocket for a Swiss Army knife. He drew out the screwdriver blade and began loosening a metal panel under the seat of a car.

  “No answer?” Dane asked quietly.

**Inserted here: calculated crystals:**
********
No. 1
# LaScZn2Ru, optimized geometry, DFT PBE-GGA
data_LaScZn2Ru
_space_group_name_H-M_alt 'P 4/m m m'
_space_group_IT_number 123
_space_group_name_Hall '-P 4 2'
_cell_length_a 4.960
_cell_length_b 4.960
_cell_length_c 4.995
_cell_angle_alpha 90.00
_cell_angle_beta 90.00
_cell_angle_gamma 90.00
loop_
_atom_site_label
_atom_site_type_symbol
_atom_site_fract_x
_atom_site_fract_y
_atom_site_fract_z
La1 La 0.000 0.000 0.000
Sc1 Sc 0.500 0.500 0.000
Zn1 Zn 0.000 0.500 0.500
Ru1 Ru 0.000 0.000 0.500
# Formation energy from the elements in eV per atom: 0.165
# V in Å³/f.u.: 122.89
# Fermi-level density of states in states/eV per cell: 4.82


No. 2
# LaRu2Se, optimized geometry, DFT PBE-GGA
data_LaRu2Se
_space_group_name_H-M_alt 'I 4/m m m'
_space_group_IT_number 139
_space_group_name_Hall '-I 4 2'
_cell_length_a 4.392
_cell_length_b 4.392
_cell_length_c 7.586
_cell_angle_alpha 90.00
_cell_angle_beta 90.00
_cell_angle_gamma 90.00
loop_
_atom_site_label
_atom_site_type_symbol
_atom_site_fract_x
_atom_site_fract_y
_atom_site_fract_z
La1 La 0.000 0.000 0.000
Ru1 Ru 0.000 0.500 0.250
Se1 Se 0.000 0.000 0.500
# Raw formation energy in eV/f.u.: 0.3
# V in Å³/f.u.: 73.17
# Fermi-level density of states in states/eV per cell: 7.41


No. 3
# LaRu2Se, optimized geometry, DFT PBE-GGA
data_LaRu2Se
_space_group_name_H-M_alt 'C 1 2/m 1'
_space_group_IT_number 12
_cell_length_a 7.407
_cell_length_b 4.306
_cell_length_c 5.279
_cell_angle_alpha 90.00
_cell_angle_beta 104.54
_cell_angle_gamma 90.00
loop_
_space_group_symop_operation_xyz
'x,y,z'
'-x,-y,-z'
'-x,y,-z'
'x,-y,z'
'x+1/2,y+1/2,z'
'-x+1/2,-y+1/2,-z'
'-x+1/2,y+1/2,-z'
'x+1/2,-y+1/2,z'
loop_
_atom_site_label
_atom_site_type_symbol
_atom_site_fract_x
_atom_site_fract_y
_atom_site_fract_z
La1 La 0.000 0.000 0.000
Ru1 Ru 0.192 0.000 0.613
Se1 Se 0.000 0.500 0.500
# Raw formation energy in eV/f.u.: -0.9
# V in Å³/f.u.: 81.49
# Fermi-level density of states in states/eV per cell: 7.48


No. 4
# LaRu2Se, optimized geometry, DFT PBE-GGA
data_LaRu2Se
_space_group_name_H-M_alt 'I -4 2 d'
_space_group_IT_number 122
_space_group_name_Hall 'I -4 2bw'
_cell_length_a 4.599
_cell_length_b 4.599
_cell_length_c 16.942
_cell_angle_alpha 90.00
_cell_angle_beta 90.00
_cell_angle_gamma 90.00
loop_
_atom_site_label
_atom_site_type_symbol
_atom_site_fract_x
_atom_site_fract_y
_atom_site_fract_z
La1 La 0.000 0.000 0.000
Ru1 Ru 0.110 0.250 0.625
Se1 Se 0.000 0.000 0.500
# Raw formation energy in eV/f.u.: -0.7
# V in Å³/f.u.: 89.60
# Fermi-level density of states in states/eV per cell: 15.92


No. 5
# LaRu2Se, optimized geometry, DFT PBE-GGA
data_LaRu2Se
_space_group_name_H-M_alt 'P 1 2/m 1'
_space_group_IT_number 10
_cell_length_a 4.424
_cell_length_b 4.205
_cell_length_c 4.745
_cell_angle_alpha 90.00
_cell_angle_beta 96.51
_cell_angle_gamma 90.00
loop_
_space_group_symop_operation_xyz
'x,y,z'
'-x,-y,-z'
'-x,y,-z'
'x,-y,z'
loop_
_atom_site_label
_atom_site_type_symbol
_atom_site_fract_x
_atom_site_fract_y
_atom_site_fract_z
********
**The article goes on:**

  “You know the answer.” Skye’s voice was curt. “And talking about it won’t change anything.”

  “Cut it out,” Dane ordered in a tone that matched his brother’s. “I let you get away with silence six years ago because I hadn’t been in love myself and didn’t understand. In retrospect, it was a stupid decision on my part. You can tell me to go to hell if you want, but I’ll be damned if I’ll stand by this time and watch you tear yourself apart.”

  “That won’t happen again.” Skye sat back on his heels suddenly, his hands going still, and the ragged edge of strain showed in his voice. “At least I hope—dammit, I don’t know. I just don’t know.” He laughed shortly. “I moved into her suite this afternoon.”

  “Is that as promising as it sounds?”

  “No. I more or less forced her into it.”

  Remembering the temper he had seen in her flashing amber eyes, Dane said slowly, “I wouldn’t have thought that lady could be pushed very far against her will.”

  “You’ve met her?” Skye said, not much surprised.

  “By accident, the other day. She said that you and I were very different, and it wasn’t a question.”

  Skye laughed again, and again the sound held no humor.

  Dane hesitated, then said, “If you’ve been doing your talented impersonation of a bundle of dynamite, it’s no wonder the lady’s a bit wary.” When his brother said nothing, Dane shook his head. “Are you giving her room to breathe, Skye?”

  Skye began working on the Ferris wheel car again, his head bent. “I’m trying.”

  The mumbled answer made Dane’s mouth twist in wry understanding. Skye was of course being his usual impatient, overpowering self, and Dane knew his brother’s nature too well to try to change it at this late date. “Scars from the past getting in the way?” he asked instead.

  “She says she doesn’t blame me for what happened in Germany.” Skye removed the last screw from the metal panel, then carefully removed the panel and uncovered a small empty compartment beneath the car’s seat.

  “Do you believe that?”

  “I don’t know. I didn’t trust her then, not when it counted, and she doesn’t trust me now.”

  Dane was silent for a few moments, watching as his brother continued setting the stage for an attempted assassination. The darkness was no more a hindrance to Skye’s quick, economical movements than it was to Dane’s observation of his brother’s closed face; they both possessed catlike night vision.

  “Doesn’t trust you how?” Dane asked finally, reflecting silently that this was like pulling teeth. “She’s afraid you’ll believe the worst of her again?”

  “No. She’s afraid I’ll hurt her. I can see it in her eyes.” Skye reached into the open compartment beneath the car’s seat and began molding the clay into one corner.

  Dane, who had been forced to cope with something similar in his own courtship, knew there was no simple answer for that one. “So what’re you going to do about it?”

  “Convince her she’s wrong, if I can.” Abruptly Skye added, “If it comes to that, maybe she isn’t wrong. I’ve already hurt her, and I will again. God knows I don’t mean to, but when has that ever stopped me.”

  “If you’d only think first,” Dane said, and it held the sound of an old refrain.

  “Teach me that, will you?” Skye requested with a thread of humor in his voice.

  “Maybe Katrina can; I gave up a long time ago.”

  Skye laughed, and determinedly changed the subject. “Given the setup, it should be a remote-controlled detonation rather than a timer, don’t you think?”

  “I’d say so. Where will our assassin be lurking?”

  His hands were once more busy preparing the lump of “explosive” for a remote detonation, but Skye nodded toward the nearest building, which was an elaborate fun house. “I’m going to suggest the roof of the fun house. There’s a partially concealed ladder for a quick exit, and a clear field of vision.”

  Dane was frowning. “Makes sense. Now, how do you propose to handle the factor of random chance?”

  “You mean making certain the governor is seated in this particular car?” Skye chuckled. “I’m going to let Hagen worry about that one. It’ll occupy his mind.”

  “Is there a solution?” Dane asked politely.

  “God knows.”

  Dane couldn’t help but laugh. “An accomplice?” he suggested.

  “After he lost his terrorist group, Adrian became a loner,” Skye reminded his brother. “We’ll let random chance be a puzzle for Hagen. It won’t go as far as getting the governor on the ride anyway. If our choreography is by the numbers, our assassin will be standing handcuffed in front of Hagen long before the crucial moment.” He was busy replacing the metal cover.

  A few minutes later Dane got to his feet as Skye closed the briefcase and rose. He respected his brother’s privacy, and was perfectly aware that Skye’s edginess earlier in the day had been largely a physical strain due to his enforced patience. Still, Skye was hardly relaxed now, and Dane knew he was tied into emotional knots because of Katrina.

  So, as they walked back toward the hotel, he brought the subject up one last time. “Give her time, Skye,” he advised softly. “You came back into her life less than a week ago; let her get used to the idea.” He sent his brother a sudden grin. “I know you’re convinced you could move the earth with a lever and someplace to stand, but it takes two to build a bond.”


  Skye thought about that later as he slipped into Katrina’s suite and made his way to the bedroom. In the dark silence of the room he could hear her soft breathing, deep and even in sleep. As always, he could feel his body respond to her nearness and the thought of her with instant heat and need. These explosive emotions caught at his breath and his heart, clouding his mind u
ntil he was aware of nothing but his own driven urgency.

  He stripped away his clothing rapidly and slid beneath the covers beside her. She was unaware of him in sleep, and he couldn’t stand that; he wanted her aware of him all the time, just as he was always aware of her. It took two to build a bond, Dane had said, and the only certainty Skye had was that the desire between him and Katrina was a bond. She had told him with a steady voice and wary eyes that what was between them would soon burn itself out; he meant to prove to her how wrong she was about that.

  He drew her slender, naked body into his arms and kissed her slightly parted lips, the sweet taste of her going to his head like raw brandy. She was warm and pliant, her flesh satin beneath the searching touch of his hands. She purred sleepily and cuddled closer, and that unconscious trust yanked a low groan from his very depths.

  Dear Lord, he wanted her! He wanted to make himself a part of her until she could never escape him even in her most deeply buried thoughts, until she could never hide from him again. “Trina,” he muttered, only half conscious of the jagged need in his own voice.

  Her eyes fluttered open and her arms lifted lazily to his neck as he rose above her. “Again?” Her voice was throaty and wondering, and quick, passionate excitement flickered in her beautiful amber eyes.

  “Again,” he whispered, watching her face as he eased into her slowly. Her body accepted him instantly, completely, and he shuddered in stark pleasure as her tight heat surrounded him. Burying his face in the wild silk of her hair, he uttered thickly, “Again…and again…”

  He couldn’t move slowly now, his body responding to her sensuous grasp with lightning intensity and out of his control. The hunger he felt was ravenous, consuming, as if his very survival depended on this compulsive joining.

  Katrina held on to him helplessly, no longer surprised by her body’s instantaneous desire for him. Even just barely awake she was on fire for him, tension building in her with the force of a storm trapped under glass. He was moving inside her with compelling power, his big body above her like the vast shadow of some bird of prey, holding her trapped in a suspension greater than terror.

  I love you. Her lips moved to shape the words she thought he wouldn’t want to hear, her hands gripping his shoulders as her body wildly returned the slamming force of his. It was insanity, what he made her feel, a sweet madness she had no hope of controlling. All she could do was give way to the domination of it. From her throat came winging sounds like the sharp cries of some primitive creature, and she was unaware of the hot tears escaping from her closed eyes.

  She was blind and deaf to everything except the sudden explosion of ecstasy that shattered her senses, and she could only hold him with what strength was left to her as his powerful body shuddered in a violent release.

  Katrina returned to earth gradually, aware first of the weight of his body. She didn’t want him to move, and some dim instinct told her it was because, in these lingering, peaceful moments after lovemaking, he was as vulnerable as she was, as trapped as she was.

  Skye raised himself slowly on his elbows, the muscles of his arms quivering slightly. Even in the darkness she could see the luminous force of his eyes and the rough charm of his crooked smile. Then the smile died as his thumb brushed the wet skin near her temple.

  “Tears?” His voice was low. “Did I hurt you?”

  “No,” she said.

  “I don’t want to hurt you, sweetheart.” He hesitated, then said huskily, “I lose control when I’m with you. But if I’ve hurt you, tell me.”

  She lifted her head from the pillow and kissed his hard shoulder. “You haven’t.” And before he could probe to discover the source of her tears, she sacrificed a bit of pride to observe wryly, “I haven’t exactly been passive myself.”

  “No, you haven’t.” He kissed her with unusual gentleness, as if he realized the cost of that admission. “I thought you had fire years ago, but I could never find it. It drove me half crazy. I should have realized you were too young then.”

  Katrina wasn’t about to tell him that it wasn’t a woman’s body but a woman’s love that had sparked that fire. She resisted the urge to protest when his weight left her, and cuddled close when he drew her firmly into his arms. It had given her a tinge of hope at first, this habit he had of holding her even after sleep claimed him. But then she had reminded herself that he was an extremely sensual man, and that it was no doubt his practice with all his bedmates.

  It hurt.

  He lost control with her, yes, but she had no way of knowing if that was unusual for him. The stoic voice in her head reminded her that he was by nature impatient and impetuous; given the enormous life force his big body held, she’d be a fool not to believe that sex had always been a release of sheer energy for him.

  His arms tightened around her suddenly. “What is it?”

  She wondered if he was beginning to read her mind, or if she had made some sound of pain. “Nothing. I was just wondering—” She broke off, fighting the urge to ask him.

  “Wondering what?”

  “It doesn’t matter.”

  “Tell me.”

  Katrina cast the answer around in her mind. “Oh, just about you and Dane. You said years ago that he was your partner, and he’s here now. So I was wondering about that.”

  Skye was silent for a moment, and then he shifted position, removing one arm from around her and propping his head on his hand so that he could look down at her. She realized vaguely that he always did that, watched her while he talked to her as if he were looking for something. And she had no doubt he could see her more clearly than she could see him; she couldn’t hide from his vivid eyes in the darkness.

  “We’ve been partners for ten years,” he told her.

  Katrina, a trained agent, could see the possibilities. “Did you use your…your uniqueness?”

  He nodded slightly. “It was always our edge. We worked all over the world at first, but after Germany…”

  “I ruined it for you,” she said in a low voice.

  The arm across her waist tightened. “Not really,” he told her in a considering tone. “I’d been using my real name, but they didn’t have a photograph of me. The chances were good that I could have remained effective in Europe. But Dane and I were approached by a man who headed a domestic intelligence operation, and the offer was a good one. We were ready for a change.”

  “And no one knew you were twins?”

  “Just Daniel. Dane had already developed an international reputation as a gambler, so we made his the public persona.”

  She saw his mouth twist suddenly, and felt a pang as she began to understand. “You were the one in the shadows?”

  “Yes.” His voice roughened. “It’s where I wanted to be, hiding in the dark.”

  Like a wounded animal, she thought, and the pang was sharper this time. She made herself lie quietly even though she wanted to throw her arms around his neck, to comfort him somehow even though she found it hard to believe that anything could have done that to him. “Because…of Germany?”

  “Does that surprise you?” He was very still, his gaze fixed intently on her face.

  Katrina couldn’t begin to read his expression in the darkness, and his steady voice gave her no clue to his thoughts or feelings. “Yes,” she said finally, honestly.

  “Why?” he rapped out.

  “You’re so strong,” she said simply.

  After a moment Skye eased back down at her side and used both arms to pull her closer. “Am I?” he asked in an odd tone, then gave the ghost of a laugh. “We’d better get some sleep.”

  Katrina didn’t know what to make of those words. But, as she drifted off to sleep, the stark thought in her mind was that if she had hurt him that badly, he would never be able to love her again.


  Skye woke before dawn, instantly aware Katrina wasn’t with him. He reached out and turned on the lamp on her nightstand just as the bathroom door opened and she came out fully dressed.
He sat up slowly, looking at her. She was ready for work, her royal blue silk dress elegant, her fiery hair tamed in a braided coronet. She looked beautiful and controlled and aloof.

  “I’m sorry, I didn’t mean to wake you,” she said.

  Even her voice was distant, he thought, and held a hand out to her. She hesitated, then came to the bed and didn’t resist when he pulled her down so that she was sitting on the edge of the bed near his hips. He kissed her, holding her tightly in his arms until the faint stiffness left her and she melted against him with a smothered little sound. And when he raised his head at last, her eyes flickered and her lips were parted, softened and slightly swollen.

  “Good morning,” he said.

  Katrina blinked at him. She felt a little wild for a moment, thinking that a greeting like his could easily make a woman useless for the rest of the day. Then she cleared her throat. “Good morning. I thought you should rest.”

  His lips quirked, and quick laughter gleamed in his eye. “Oh? Did I give you that impression?”

  Realizing how that had sounded, Katrina flushed and got determinedly to her feet. “No,” she admitted, her mouth going dry when he cast off the covers and slid from the bed. No matter how many times she saw his muscled body, she always felt an instant sense of surprise and wonder at the stark male beauty of him.

  “I don’t seem to be very tired,” he decided.

  Her gaze lifted hastily to meet his, and she cleared her throat again. “No,” she agreed.

  He tipped her chin up and kissed her again, this time lightly. “You usually have breakfast in the restaurant, don’t you? Wait for me, and I’ll go down with you.”

  Katrina didn’t bother to voice an agreement, knowing he’d take it for granted. She wandered out into the den to wait while he showered and shaved, trying to piece back together the control he had shattered so easily.

  So easily…

  Chapter 6

  “The human element,” Hagen said in disgust, pacing the room and working himself into a fine state.